1. Identify profit yeilding opportunities for US businesses in foreign economies
2. Transform the US businesses into US Aid providers in foreign economies
3. Integrate US businesses into the economic community of foreign economies
4. Promote business Advantage for US businesses in foreign economies.
Learn America Do America (LADA) Program is a New American International Mentorship Initiative, designed to develop the world while developing America
The USEP will through the LADA Public Diplomacy Protocol, stage the engagement of US businesses and an international mentee in chosen economic sector establishing a work Experience scheme (WES) or a Business Engagement scheme.
Mentee Introduction Letters will be available for Mentees after the Preliminary Mentorship Agreement by the US Department of Commerce in support of Identifying profit yeilding opportunities for US businesses in foreign economies
The USEP will through the LADA Public Diplomacy Protocol strengthen the diplomatic status of the mentor. Mentor Certification Letters will be available for mentors after the Preliminary Mentorship Agreement by the United States Agency for International Development (USAID) in support of transforming the US businesses into US Aid providers in foreign economies
The USEP will, through the LADA Public Diplomacy Protocol, work with the Department of State and the ministry of foreign affairs or the diplomatic equivalent of the international mentees (companies) to develop the Mentorship Partner State Agreement (MPSA).
MPSA Planning will be available after the Preliminary Mentorship Agreement by the US Department of State in support of Integrating US businesses into the economic community of foreign economies
### Calculated molecules, as found in the file
____________
[1]
Below is C11H22N4O4 in the gas phase in a non-equilibrium geometry, with properties calculated with ωB97M-V/def2-TZVPD.

The geometry in XYZ format:
```
41
Properties=species:S:1:pos:R:3
N 4.4011 -2.6099 0.1093
C 3.3890 -1.5423 -0.1286
C 4.0931 -0.1320 -0.2955
C 2.8834 0.8631 -0.3123
C 2.2330 1.3978 0.8843
C 1.0660 2.3935 0.4814
N 0.2463 2.7668 1.4890
C 0.3229 1.8566 -0.7720
O 0.2871 2.6261 -1.7145
N -0.1160 0.5914 -0.7972
C -0.5069 -0.1381 0.3208
C -1.9682 0.0663 0.7218
C -2.9685 -0.2272 -0.4500
C -4.4035 -0.7058 0.0516
N -5.4723 -0.4206 -0.8707
O -4.6009 -0.7871 1.1891
C -0.0445 -1.5280 -0.0009
O 0.2523 -1.9124 -1.1536
O 0.0907 -2.3230 1.0053
H 4.0306 -3.3955 0.6710
H 4.6729 -2.8826 -0.8279
H 2.6918 -1.5582 0.6472
H 2.9535 -1.5253 -1.1134
H 4.7495 0.3206 0.4455
H 4.4623 0.1016 -1.2846
H 3.1589 1.6437 -0.8604
H 1.9453 0.3326 -0.8087
H 2.8834 2.0013 1.5338
H 1.9396 0.5297 1.5892
H 1.8819 3.1983 0.0669
H 0.3637 2.4369 2.4020
H -0.3583 3.5389 1.4403
H -0.5788 0.3800 -1.6315
H 0.0527 0.1770 1.2492
H -2.4362 -0.4229 1.6747
H -1.7626 1.1500 0.9113
H -2.5733 -0.9058 -1.2549
H -2.9058 0.6714 -0.9078
H -6.2136 -1.0612 -1.1061
H -5.0575 0.1066 -1.7489
H -0.1229 -1.7827 1.7863
```

Calculated values
Structure (SMILES) ... NCCCC[C@H](N)C(=O)N[C@@H](CCC(N)=O)C(=O)O
Total charge ... 0
HOMO energy ... -9.0 eV
2S+1 ... 1
Relative energy (zero: lowest compared OMol25 entry of this formula, charge and spin) ... 5.356 eV
LUMO energy ... 0.0088 hartree
Total energy ... -25911.1363 eV


[2]
Below is a molecular structure, C11H23AuF6NO4P2S2Te in a non-equilibrium geometry, with properties calculated with ωB97M-V/def2-TZVPD.

The geometry in XYZ format:
```
51
Properties=species:S:1:pos:R:3
Au 0.7932 0.2084 -0.3248
C 4.3780 2.8875 -1.4246
C 3.1084 2.0799 -1.3734
S 2.7891 1.3389 0.0659
C 2.2726 1.9938 -2.5529
C 2.6552 2.7650 -3.7941
S 0.8979 1.0917 -2.6437
H 4.9042 2.8321 -0.4776
H 4.1623 3.9358 -1.6458
H 5.0392 2.5117 -2.2082
H 3.7243 2.9661 -3.8479
H 2.1339 3.7257 -3.8032
H 2.3552 2.2204 -4.6838
F 1.0301 -2.4055 -1.7876
P 2.5584 -2.8545 -1.3276
F 1.9141 -4.1812 -0.6520
F 2.7407 -3.6291 -2.7153
F 4.0195 -3.2736 -0.8348
F 2.3044 -2.0393 0.0748
F 3.1264 -1.4951 -1.9849
C -2.8982 3.8238 1.7908
N -2.0246 2.7827 1.2575
C -1.9529 2.5533 -0.1789
C -1.2535 2.0800 2.1033
O -0.4241 1.2388 1.7971
H -3.4646 4.2555 0.9704
H -2.3298 4.6245 2.2663
H -3.6051 3.4165 2.5146
H -2.9152 2.7987 -0.6259
H -1.7346 1.5047 -0.3708
H -1.1750 3.1622 -0.6483
H -1.4362 2.3345 3.1616
C 1.0869 -3.7533 2.4913
C -0.3006 -3.6908 1.9073
O -0.4271 -2.4493 1.1683
P -1.3889 -2.2341 -0.0589
O -1.1674 -0.8250 -0.5153
Te -1.2944 -4.0171 -1.6776
O -2.8783 -2.4646 0.4561
C -3.4013 -1.5422 1.4491
C -4.3624 -0.5781 0.7944
H 1.1630 -4.6330 3.1336
H 1.2861 -2.8633 3.0902
H 1.8333 -3.8161 1.7037
H -1.0631 -3.6793 2.6882
H -0.4968 -4.5322 1.2421
H -2.5758 -1.0101 1.9262
H -3.8970 -2.1552 2.1993
H -3.8398 0.0400 0.0658
H -4.8084 0.0677 1.5543
H -5.1611 -1.1181 0.2856
```

Calculated values
Total charge ... 0
____________
4. Promote business
Advantage for US
businesses in foreign
The USEP will, through the LADA Public Diplomacy Protocol, work with the Government of the international mentees (companies) and the US missions in the host country to secure the successful delivery of the MPSA.
MPSA Execution will be available after MPSA by the the United States Trade Representative in support of Promoting business Advantage for US businesses in foreign economies
ADMISSION into the LADA program is open to US local and International Ventures in US all 50 states as US Mentor Companies, as well as Prospecting Entrepreneurs from US Partner Countries as international mentees. The US Embassy for Peace (USEP) within the Foreign Mentorship Engagement Service (FMES) will liaise with the US Department of Commerce, International Trade Administration and other US Government agencies to ensure that necessary information and training are made available for both Mentor and mentee
AGREEMENT for the LADA program is the Mentorship Partnership Agreement (MPSA) between US local or International Venture in any of US all 50 states as US Mentor Companies and Prospecting Entrepreneur or Company from a participating US Partner Country. The US Embassy for Peace (USEP) within the Foreign Mentorship Engagement Service (FMES) will liaise with the US Department of state and other US Government agencies to invoke or strengthen the US current binational agreement with the participating Partner Country.
ASSIGNMENT for the LADA program is commence with a Mentorship Work Experience Scheme (MES) between a US local or International Ventures within US 50 states as US Mentor Companies and a Prospecting Entrepreneurs from a participating US Partner Country. The US Embassy for Peace (USEP) within the Foreign Mentorship Engagement Service (FMES) will liaise with the US Department of State and other US Government agencies to certify the Business engagement between Mentor and Mentee as Diplomatic Business
ADMINSTRATION for the LADA program will be coordinated through the International Mentorship Facility Administration in US all 50 states and all participating US Partner Countries. The US Embassy for Peace (USEP) within the Foreign Mentorship Engagement Service (FMES) will liaise with the US Department of state and other US Government agencies to develop provide diplomatic support both the Local and foreign IMFAs .
Mentorship Assurance Scheme (MAS) is the primary project of the Learn America Do America (LADA) Program consisting of a rewarding and secured mentorship protocol for US Mentor Companies from 50 US States and International Mentees from more than 160 US partner Countries
Mentorship Assurance Scheme (MAS) includes the work Experience Scheme WES) and Business Engagement Scheme (WES)